Always Hungry :-(



  • wolfey24
    wolfey24 Posts: 28 Member
    yes i think your right because when i am full i feel like going to sleep so im learning that now when i dont fill up i feel great
  • Simomofmich
    Simomofmich Posts: 126 Member
    Here's my opinion, because we all got one here. The idea is probably to take the best of what people are trying to help you with and see what works for you.

    If it said 2000 then make that your limit. I personally would not eat my exercise calories back but others prob will tell you different.
    I would find a way to cut down on the carbs. I see you eat at subway, I do too, but the carbs on the bread will do you in. I haven't done it yet but will do it on my next visit, but I guess they will scoop out the bread lowering the carb count or even they will make any sandwich into a salad for you and cut out the carbs big time. Also, !tam-x-ico's! makes a lo carb wheat tortilla wrap. I eat all my sandwiches with it and its only 9 carbs vs 40. 90 calories also.

== Here the text breaks off for materials data ==
'''
# 1
NaZr2Al2P3S3O24 | PBE | relaxed

```
105
Lattice="8.663 -0.007 0.032 -4.338 7.512 -0.009 0.084 0.020 22.391" Properties=species:S:1:pos:R:3 pbc="T T T"
O -0.661 3.605 5.780
O -0.968 3.836 19.259
O -0.898 6.448 21.712
O 2.885 2.741 9.507
O 2.821 2.374 0.563
O 1.107 1.249 2.000
O -0.808 6.216 5.849
O 5.922 2.311 11.867
O 3.837 5.889 13.200
O 7.595 1.292 13.225
O 3.756 1.128 14.293
O 7.573 1.412 6.814
O 5.034 3.853 16.574
O 0.758 3.527 10.596
O -1.519 4.711 8.090
O 4.975 5.904 18.012
O 3.765 3.944 11.857
O 3.847 1.080 20.645
O 1.506 5.078 5.836
O 5.165 1.215 16.577
O 4.897 5.876 1.982
O 0.725 1.671 15.603
O 2.804 2.723 3.132
O 3.256 6.134 4.384
O -1.614 5.156 10.585
O 3.472 3.757 14.302
O -3.361 6.103 9.152
O -1.475 5.119 17.025
O 3.698 3.840 5.407
O 4.941 1.116 3.171
O 2.657 7.248 15.591
O -0.521 6.682 12.961
O 0.774 3.607 17.033
O 3.438 6.099 20.364
O 5.920 2.658 14.308
O 0.698 1.539 9.123
O -0.655 1.664 4.410
O 3.427 3.706 20.649
O 5.354 3.614 9.538
O -1.676 4.720 1.807
O 1.735 0.373 13.212
O 5.014 3.941 0.650
O 0.909 6.243 17.128
O 3.559 1.216 5.430
O 1.767 0.244 6.823
O -0.493 6.592 19.310
O 1.084 3.826 8.104
O 1.751 4.712 12.989
O 4.901 1.065 9.537
O 1.060 3.740 1.771
O 5.851 2.789 20.703
O 1.705 4.733 19.313
O 5.287 1.225 0.603
O 7.002 0.324 18.013
O 1.013 6.437 10.566
O 1.785 5.160 21.719
O -0.649 3.559 21.751
O 5.266 3.761 3.121
O -3.215 6.171 15.557
O 2.642 7.422 9.177
O 7.034 0.277 2.081
O -2.560 7.390 20.308
O 2.835 2.437 16.561
O -1.083 3.695 12.977
O -0.646 1.561 20.282
O 1.217 1.394 17.950
O 3.461 1.289 11.850
O 0.581 6.609 8.161
O 0.525 6.560 1.804
O 3.689 5.895 6.833
O -2.580 7.235 4.370
O 5.911 2.436 5.435
Al 4.236 2.459 4.207
Al -0.047 5.031 18.178
Al 4.481 2.458 22.000
Al 4.335 2.548 10.647
Al 4.430 2.502 15.447
Al 0.037 4.977 7.051
S 2.572 4.893 20.492
S 3.214 4.536 13.084
S 7.361 2.276 5.631
S 5.499 4.531 1.904
S 1.378 2.305 16.788
S 3.207 0.515 13.076
S -1.097 7.247 20.490
S 6.717 2.478 13.087
S 1.196 7.248 9.327
P 1.362 2.909 9.291
P -1.651 7.475 5.587
P 5.511 0.474 1.918
P 5.696 5.222 16.824
P 3.023 5.208 5.608
P -1.287 2.959 20.482
P 2.013 2.485 1.857
P 1.710 7.490 16.823
P -2.443 4.876 9.290
Zr 4.343 7.497 3.244
Zr 4.359 7.457 14.518
Zr 0.024 4.978 0.579
Zr 0.009 4.987 11.711
Zr 8.668 0.025 19.150
Zr -4.224 7.462 7.920
Na 4.501 2.531 18.694
Na 0.102 5.084 3.893
Na 4.286 2.559 7.402
```

## Properties
For the calculated formation energy, the calculation gives -2.7420 eV per atom. As for the space group: No. 1. The calculation puts the magnetic moment at 0.00 μB per cell. The value obtained for the total energy is -7.223 eV/atom.

# 2
NaZrAlP2SO12 | PBE | relaxed

```
108
Lattice="8.697 0.000 0.000 -4.349 7.504 -0.082 0.000 -0.250 22.625" Properties=species:S:1:pos:R:3 pbc="T T T"
P 1.826 7.231 16.863
P -1.137 6.993 20.627
P 1.137 2.032 16.911
P 5.486 4.699 1.800
P 1.826 2.395 1.834
P -1.826 7.356 5.550
P 2.523 4.689 20.661
P -2.523 4.813 9.348
P 1.137 7.117 9.314
P -1.137 2.157 5.598
P 6.871 2.271 13.147
'''
== The text goes on ==

    Up your water to 8-10 a day. Force yourself to do it ever couple of hours and that may curb the hunger also.

    I would stop with the sodas. Stop drinking calories and save them for food!

    Either way, good luck!
  • Simomofmich
    Simomofmich Posts: 126 Member
    Also remember that roughly 3500 calories makes a pound. If you could find a way to burn an extra 500 calories a day, along with staying within your calorie budget, you will lose weight.

    Discipline and dedication!
  • karisamh
    karisamh Posts: 25 Member
    Wolfy -
    Your BMR is your basil metabolic rate....this is the amount of calories it takes your body to survive if you did nothing but laid in bed all day. However, it assigning you a caloric intake of 2000something calories seems high. I am 166lbs and my daily calories is 1490/day in order to lose 1-2lbs/week. I went to a dietitian (once) and she gave me the numbers. However, like one of the other replies said, 3500 calories equals 1lb. so if you reduce your calories by 500/day or burn an additional 500 cal./day you should lose 1lb/week. What I stick to is I try to get all my carbs from veggies however I don't exclude carbs (bread, rice, etc.) all together becuase you need them for energy. I just chose them more carefully, for instance 1/2 of a sweet potato and if I do have rice it is only 1/4 cup. If you look at my food diary for today (8/1/11) and look at my dinner you will see it is only 300calories but I am stuffed from it. If you'd like add me as your friend and we can look at eachother's diary.
  • VRoseDuda
    VRoseDuda Posts: 129 Member
    I don't usually have a hard time with feeling full but I have done Weight Watchers a few times so my meal planning isn't too bad. Try to eat as few items that are processed as possible. I see people (I have not looked at your diary) with 100 calorie snacks galore and "diet meals" that are full of salt that are usually hungry. I will do 1 piece of oat nut bread with turkey, tomato and avocado with popcorn or frozen veggies for 300-350 calories for lunch. I only get 1200...I am about 5 feet tall with about 35 to go. Make a few chicken breasts on the grill and do chicken/romaine/cukes/tomato/onion/pepper with lt. ranch...yum (and about 250 calories)
    I am no health nut or anything but the more I eat in it's natural state, the better I feel. I have kids too so we make chicken nuggets with chicken breasts and shake n love them!

    I read the other reply...personally, I do not avoid carbs as much as sugar. I eat low sugar oatmeal etc and I have noticed the difference in my middle. I have also limited myself to 1 fruit a day. ( I used to eat a ton)

    Good Luck! It is hard getting started but once you get a routine it isn't.
    Friend me if you would like---maybe you'll pick up meal ideas
  • maillemaker
    maillemaker Posts: 1,253 Member
    Appetite is for me the biggest problem. It saps willpower.

    For me, I find eating a low-carb diet reduces hunger pangs.